Wanted.
Set down every line below that contains the word "in".

Entries.
+++
No. 1
DFT (the ωB97M-V functional and the def2-TZVPD basis) results for 5 unconnected molecules or ions with the total composition C26H45N4O13.

```
! wB97M-V def2-TZVPD RIJCOSX def2/J DEFGRID3
* xyz 1 1
C -3.224 0.427 2.699
C -4.199 -0.745 2.548
C -4.684 -1.010 1.107
C -3.669 -0.713 0.014
C -4.082 -1.291 -1.357
C -3.031 -2.150 -2.067
C -2.027 -1.356 -2.894
C -0.938 -0.669 -2.078
N -0.025 0.061 -2.961
N -0.278 1.346 -3.290
C 0.674 1.753 -4.146
N 0.718 3.019 -4.661
N 1.518 0.749 -4.369
C 1.088 -0.286 -3.623
C 1.856 -1.562 -3.581
C 1.060 -2.868 -3.507
C 1.986 -4.052 -3.171
C 1.197 -5.225 -2.624
O 0.809 -4.916 -1.291
H -2.216 0.159 2.378
H -3.521 1.291 2.105
H -3.147 0.735 3.738
H -3.707 -1.637 2.938
H -5.060 -0.512 3.163
H -4.992 -2.052 1.028
H -5.581 -0.408 0.957
H -3.550 0.364 -0.089
H -2.693 -1.118 0.295
H -4.287 -0.456 -2.033
H -5.012 -1.846 -1.280
H -2.503 -2.802 -1.367
H -3.557 -2.805 -2.760
H -1.574 -2.012 -3.632
H -2.570 -0.588 -3.450
H -1.398 0.067 -1.418
H -0.381 -1.340 -1.430
H -1.077 1.830 -2.908
H 1.107 3.758 -4.106
H 0.397 3.239 -5.583
H 2.440 -1.554 -4.497
H 2.556 -1.538 -2.746
H 0.309 -2.844 -2.726
H 0.597 -3.083 -4.469
H 2.583 -4.346 -4.031
H 2.673 -3.731 -2.385
H 0.320 -5.405 -3.251
H 1.807 -6.128 -2.637
H -0.076 -5.247 -1.138
C 5.364 0.881 2.256
C 3.988 0.778 1.631
O 3.131 0.786 2.781
C 3.788 1.384 3.800
O 3.293 1.712 4.828
O 5.086 1.584 3.476
H 6.073 1.442 1.655
H 5.787 -0.094 2.500
H 3.752 1.644 1.009
H 3.845 -0.126 1.052
C 3.785 4.803 4.764
C 5.294 4.929 4.775
O 5.491 6.237 4.225
C 4.364 6.963 4.428
O 4.265 8.127 4.227
O 3.365 6.167 4.879
H 3.393 4.210 5.584
H 3.407 4.400 3.821
H 5.706 4.905 5.785
H 5.796 4.184 4.164
C 5.858 1.413 -4.043
C 5.213 0.140 -4.552
O 5.020 -0.609 -3.338
C 5.003 0.254 -2.305
O 4.737 -0.040 -1.181
O 5.350 1.492 -2.702
H 5.579 2.300 -4.605
H 6.945 1.342 -3.995
H 4.237 0.314 -5.009
H 5.843 -0.417 -5.239
C -7.942 -1.359 5.359
C -9.341 -1.676 4.864
O -9.520 -0.709 3.822
C -8.305 -0.325 3.378
O -8.106 0.331 2.409
O -7.329 -0.803 4.188
H -7.390 -2.233 5.692
H -7.938 -0.605 6.147
H -9.413 -2.674 4.430
H -10.109 -1.556 5.622
*
```

Results
frontier orbital gap = 8.867 eV
HOMO = -11.93 eV
LUMO energy = -3.061 eV

=====

No. 2
DFT (the ωB97M-V functional and the def2-TZVPD basis) results for 2 unconnected molecules or ions with the total composition C2H3N2O2S.

```
! wB97M-V def2-TZVPD RIJCOSX def2/J DEFGRID3
* xyz -1 1
C 0.072 -1.770 0.089
C 0.009 -0.428 0.424
N 0.062 -2.848 -0.308
N 1.801 0.492 -0.412
O -2.633 0.098 0.284
O -1.016 1.961 0.147
S -1.451 0.652 -0.404
H 0.091 0.011 1.494
H 1.623 1.393 0.040
H 1.442 0.440 -1.356
*
```

Results
frontier orbital gap = 7.600 eV
HOMO = -4.22 eV
relative energy (zero: lowest compared OMol25 entry of this formula, charge and spin) = 217.2 kJ/mol
LUMO energy = 3.379 eV

=====

No. 3
DFT (the ωB97M-V functional and the def2-TZVPD basis) results for C7H14O2 in the gas phase.

```
! wB97M-V def2-TZVPD RIJCOSX def2/J DEFGRID3
* xyz 0 1
C -0.229 0.292 -0.626
C -0.070 -0.227 0.805
C -1.800 0.461 -0.924
C 0.356 -0.678 -1.650
C -0.592 0.737 1.869
C 1.455 -0.474 1.072
C 2.003 -1.664 1.234
O 0.308 1.588 -0.783
O -1.985 0.992 -2.209
H 1.268 1.520 -0.828
H -1.461 1.802 -2.249
H -0.577 -1.191 0.881
H -2.288 -0.513 -0.907
H -2.256 1.121 -0.177
H 2.059 0.421 1.170
H 0.063 -0.364 -2.650
H 1.443 -0.697 -1.584
H -0.016 -1.683 -1.474
H -0.196 0.458 2.843
H -1.677 0.708 1.924
H -0.278 1.754 1.643
H 3.047 -1.792 1.474
H 1.424 -2.571 1.145
*
```

Results
SMILES string = C=C[C@@H](C)[C@](C)(O)CO
frontier orbital gap = 10.544 eV
HOMO = -9.73 eV
relative energy (zero: lowest compared OMol25 entry of this formula, charge and spin) = 101.0 kJ/mol
LUMO energy = 0.813 eV

=====

No. 4
DFT (the ωB97M-V functional and the def2-TZVPD basis) results for 2 unconnected molecules or ions with the total composition C4H13NO2.

```
! wB97M-V def2-TZVPD RIJCOSX def2/J DEFGRID3
* xyz 0 1
C 1.515 0.619 -1.004
N 2.822 0.939 -0.529
O 0.974 1.725 -1.701
O 1.529 -0.509 -1.808
H 0.122 1.479 -2.077
+++

Worked solution.
DFT (the ωB97M-V functional and the def2-TZVPD basis) results for C7H14O2 in the gas phase.